At the general election held in Plumas County on the 6th of September, 1865, Stephen J. Clark and James H. Yeates were candidates for the office of Sheriff of said county. The Board of Canvassers of the county held and declared Yeates duly elected to said office by a majority of five votes. Thereafter, on the 21st of October, William H. Knowles, an elector of the same county, presented to the County Court his petition contesting the election of Yeates and praying that Clark might be declared elected and entitled to the office. Yeates, the respondent, appeared, and answered the petition of Knowles, the contestant. - Upon the trial of the issues joined between the parties, the Court rendered judgment for respondent, from which the contestant has appealed to this Court.
The respondent’s counsel has made an objection challenging the jurisdiction of this Court in the premises, which it is necessary to consider and dispose of before we can look into the merits of the controversy. The question is one of great importance, and were we without authority on the subject, we should view it as exceedingly embarrassing. In Conant v. Conant, 10 Cal. 252, which was an action of divorce, an objection was taken that the Supreme Court had no appellate jurisdiction under the Constitution in the case—no question of property being involved in its determination. The fourth
Appellate jurisdiction of the Supreme Court.
The fourth section of the Sixth Article of the Constitution, as amended, reads as follows: “ The Supreme Court shall have appellate jurisdiction in all cases in equity; also, in all cases at law which involve the title or possession of real estate, or the legality of any tax, impost, assessment, toll, or municipal fine, or in which the demand, exclusive of interest, or the value of the property in controversy, amounts to three hundred dollars; also, in all cases arising in Probate Courts; and also in all criminal cases amounting to felony on questions of law alone.”
On the part of the respondent it is insisted that this section as amended is a more distinct and exact limitation of the
, The learned Judge, in the case referred to, seems to have had in mind the rules of interpretation defined by Rutherforth, as rational and mixed. Rational interpretation is when' the words of an instrument do not express the author’s intention perfectly,, but either exceed or fall short of it, so that the intention is to be collected from probable or rational conjectures only; and mixed interpretation, that is, an interpretation partly literal and partly rational, is when the author’s words, though they do express his intention when rightly understood, are in themselves of doubtful meaning, rendering it necessary to have recourse to the like conjectures to find out in what sense the words were used; in which case the intention is collected from the words, but not without the help of other conjectures. (Rutherfortli’s Institutes, B. 2, Ch. 7, Sec. 3.) By means of these rules of interpretation the spirit of the text is saved from sacrifice to its strict letter. When the provisions of a statute or of the organic law are clear and precisé, and attended with no difficulty in the application, there is no room for any interpretation or comment. The intention of the lawgiver is what must be adhered to. But if the language of the instrument is indeterminate, vague or susceptible of a more or less extensive sense, we must presume the intention according to the laws of reason and equity; and for this purpose it is necessary to pay attention to the nature of the things to which the question relates. In this connection Vat-tel says: “ There are certain things of which equity admits the extension rather than the restriction; that is to say, that
The Constitution of this State was created and adopted by a free people in order to secure to themselves and their posterity the blessings of liberty. In the declaration of rights the great fundamental truths that “ all men are by nature free and independent, and have certain inalienable rights, among which are those of enjoying and defending life and liberty; acquiring, possessing and protecting property; and pursuing and obtaining safety and happiness,” are distinctly announced; and it is declared that all political power is inherent in the people; that government is instituted for the protection, security and benefit of the people, and that no person shall be deprived of life, liberty or property without due process of law. The Constitution secures to the citizen the right of suffrage, without which he could not exert his political power, and without which he would be impotent to secure to himself the full enjoyment of life, liberty and property.
For the accomplishment of the objects and ends of the government of the State, its powers are divided into three departments, to each of which is assigned its appropriate functions.
┌──
[1]
BaNdGe (GGA-PBE, optimized geometry); size of the total moment = 0.0 μB per cell; formation energy = -0.3741 eV per atom; VASP energy = -12.4 eV/cell
1.0
4.998 0.000 0.000
0.000 5.028 0.000
0.000 -2.514 4.354
Nd Ba Ge
1 1 1
Direct
0.201 0.333 0.667
0.685 0.667 0.333
0.113 0.000 0.000


[2]
MgZrTcNi (GGA-PBE, optimized geometry); size of the total moment = 0.0 μB per cell; formation energy = -0.0867 eV per atom; VASP energy = -26.6 eV/cell
1.0
-3.947 1.120 -1.861
-3.608 0.683 2.610
-1.641 4.162 0.531
Ni Tc Mg Zr
1 1 1 1
Direct
0.000 0.000 0.000
0.500 0.500 0.500
0.250 0.250 0.250
0.750 0.750 0.750


[3]
MgTiGa2O6 (GGA-PBE, optimized geometry); formation energy without anion corrections = -2.3491 eV per atom; size of the total moment = 0.0 μB per cell; VASP energy = -68.8 eV/cell
1.0
-1.727 4.383 -1.919
-4.961 0.576 -0.962
-2.868 3.266 3.300
O Ti Ga Mg
6 1 2 1
Direct
0.601 0.230 0.247
0.403 0.716 0.756
0.230 0.922 0.247
0.922 0.601 0.247
0.716 0.125 0.756
0.125 0.403 0.756
0.310 0.310 0.070
0.518 0.518 0.446
0.026 0.026 0.922
0.810 0.810 0.569


[4]
LiTm2Pd (GGA-PBE, optimized geometry); size of the total moment = 0.0 μB per cell; formation energy = -0.4328 eV per atom; VASP energy = -17.8 eV/cell
1.0
3.595 0.000 0.000
0.000 4.885 0.000
0.000 0.000 4.885
Pd Li Tm
1 1 2
Direct
0.500 0.500 0.500
0.500 0.000 0.000
0.000 0.000 0.500
0.000 0.500 0.000


> Among the records above, which one has the highest VASP energy?

BaNdGe


> VASP energy of number 4 (LiTm2Pd)?

-17.8 eV/cell


> size of the total moment of number 1 (BaNdGe)?

0.0 μB per cell


# Rb12Cd3F5

A geometry-optimized Rb12Cd3F5 structure (GGA-PBE, Alexandria).

a = 16.5483 Å, b = 16.5483 Å, c = 16.5483 Å
α = 109.47°, β = 109.47°, γ = 109.47°
With the nearest neighbours (Å) after each atom.
Fractional positions:
Rb 0.3157 0.5062 0.3963  2 F 2.71-3.02
Rb 0.3157 0.8095 0.4194  2 F 2.71-3.02
Rb 0.8095 0.3157 0.9194  2 F 2.71-3.02
Rb 0.8901 0.5806 0.8963  2 F 2.71-3.02
Rb 0.8157 0.9194 0.3095  2 F 2.71-3.02
Rb 0.0062 0.6099 0.6905  2 F 2.71-3.02
Rb 0.8157 0.8963 0.0062  2 F 2.71-3.02
Rb 0.1099 0.4194 0.1037  2 F 2.71-3.02
Rb 0.9194 0.1037 0.6099  2 F 2.71-3.02
Rb 0.5062 0.1905 0.1099  2 F 2.71-3.02
Rb 0.4938 0.6843 0.1037  2 F 2.71-3.02
Rb 0.6905 0.5806 0.1843  2 F 2.71-3.02
Rb 0.1905 0.6843 0.0806  2 F 2.71-3.02
Rb 0.0806 0.8963 0.3901  2 F 2.71-3.02
Rb 0.6099 0.6037 0.9194  2 F 2.71-3.02
Rb 0.3963 0.0062 0.3157  2 F 2.71-3.02
Rb 0.1099 0.6905 0.5062  2 F 2.71-3.02
Rb 0.6843 0.4938 0.6037  2 F 2.71-3.02
Rb 0.9938 0.6037 0.1843  2 F 2.71-3.02
Rb 0.4194 0.3095 0.3157  2 F 2.71-3.02
Rb 0.3095 0.4194 0.8157  2 F 2.71-3.02
Rb 0.3095 0.8901 0.9938  2 F 2.71-3.02
Rb 0.1843 0.0806 0.6905  2 F 2.71-3.02
Rb 0.0806 0.1843 0.1905  2 F 2.71-3.02
Rb 0.6037 0.9938 0.6843  2 F 2.71-3.02
Rb 0.9938 0.3901 0.3095  2 F 2.71-3.02
Rb 0.4938 0.8095 0.8901  2 F 2.71-3.02
Rb 0.1843 0.1037 0.9938  2 F 2.71-3.02
Rb 0.1037 0.9194 0.1099  2 F 2.71-3.02
Rb 0.8095 0.4938 0.3901  2 F 2.71-3.02
└──
Contemporaneous interpretation of a Constitution.
In aid of the interpretation which we give to the section of the Constitution under consideration we may refer to the exposition and practice of the judicial department of the State Government since its organization. The highest Courts of original jurisdiction have been in the practice, from the begin
We do not mean to be understood as holding that, notwithstanding contemporaneous exposition on the part of the judicial tribunals and Legislatures of the State may be cogent evidence in aid of a particular interpretation or construction of the Constitution, that such interpretation or construction, even though sanctioned by long usage, should be upheld, if the same be clearly repugnant to the express and unequivocal terms of the instrument. It is to the words of the Constitution we must have recourse in the first place to ascertain what may be intended by any of its provisions. Its spirit and intent must be collected chiefly from its words, and what its words mean in their relations to each other and to the subject matter of its provisions, it is oftentimes the office of interpretation to discover.
The provision of the Constitution which the Court in Conant v. Conant was called upon to expound was regarded as failing to clearly define the jurisdiction of the Supreme Court in relation to the subject matter of that case, and others of like nature. It was considered as falling short of expressing the entire extent of the Court’s appellate jurisdiction, and hence we may presume recourse was had to other provisions of the Constitution and to a consideration of its grand aims and pur
Having disposed of the jurisdictional question raised by the respondent, we now come to the consideration of the case upon the merits.
Election precincts were duly established for Plumas County for the general election held in 1865, and officers of election were appointed by the Board of Supervisors for each of the precincts so established. The following, to wit: Granite Basin, Cascade, (Sullivan’s,) Rush Creek, and Grizzly Valley, were of the number of the precincts so established, and officers of election were appointed for each of them. No election was held at either of the places named. Instead of holding the election at Granite Basin the Inspector and Judges appointed for that place opened the polls and held the election at Buckeye House, six miles distant from Granite Basin. The Board of County Canvassers opened and canvassed the votes given at Buckeye House as votes cast at Granite Basin, and it appearing that of the votes so given, the respondent received five and Clark two, they were so counted and allowed. Polls were opened and an election held at a certain Warehouse near a place called Diamond Spring House. The Warehouse stood on the line dividing the Counties of Plumas and Yuba, at a distance of three miles from “ Cascade, (Sullivan’s.)” The conduct of those who managed the election at the polls opened at the Warehouse, was, to say the least of it, grossly irregular. The persons who acted as Inspectors and Judges there, made returns of the votes cast at the Warehouse, and they were opened and counted by the County Canvassers as votes cast at Cascade Precinct. The. votes so given were fifteen in num
Instead of opening the polls and holding the election at Grizzly Valley, the election was held at the house of A. J. McPike, situated on Grizzly Creek, a mile distant from the valley. McPike’s house was a mile from Grizzly Valley, the place designated and appointed by the proper authority as the place where the election should be held. The Court found that no polls were opened or held in Grizzly Valley on the day of the election ; that the vote cast at the house of McPike was returned as the votes of Grizzly Valley, and that of the twenty-two votes so returned, sixteen of them were for the respondent, for the office of Sheriff, and six for Clark, for the same office, and were so counted and allowed by the Board of Canvassers.
The officers appointed to open the polls and hold the election at Bush Creek, instead of attending at the place designated and established for the purpose, opened the polls and held the election at Bull Frog Quartz Mill, situated about one mile distant from Bush Creek. So the Court found from the evidence, and further found, that the votes cast at the mill were opened and counted by the Board of County Canvassers as election returns from Bush Creek Precinct. Thirty-one votes were cast there, of which five were for the respondent for the office of Sheriff, and twenty-six for Clark for the same office;
The contestant charges in his petition that the conduct of the persons acting in the capacity of officers of election at three of the places named, to wit: at the Buckeye House, the Warehouse, and McPike’s house, where elections were held, was wrongful and fraudulent, and that the returns made .by them were counterfeit and false as representing the votes given at these places respectively, as given at other and different places • corresponding to the places and precincts established by the Board of Supervisors. The respondent, on his part, by answer, makes like charges as to the conduct of the persons acting in the capacity of officers of election at Bull Frog Quartz Mill. A copy of the proclamation of the Governor designating the offices to be filled at the general election for the year 1865, was posted upon the Warehouse near Diamond Spring House, as required by the sixth section of the Act. to regulate elections, to be posted at each place of holding elections; but no such copy was posted at the Buckeye House, nor at the Bull Frog Quartz Mill.
Malconduct of an Election Board.
It is evident from the finding of the County Court there was no pretense on the trial that the Board of Supervisors 'designated the Warehouse as the place for holding the election in the Cascade Precinct. The testimony is conclusive that it was not. Sullivan’s house, which was three miles from the Warehouse, was the place designated by the Board of Supervisors, and the fact that a copy of the proclamation was posted upon the Warehouse is not sufficient to overcome the direct and positive evidence that Sullivan’s house was the place designated. The conduct of the persons acting as officers of the election in opening the polls and holding the election at a distance of three miles from the place appointed by the proper authority was without any just excuse, and unauthorized, and in that respect was in the sense of the
We are aware that Courts have been very indulgent respecting the omissions, inadvertencies and mistakes of officers of elections, lest by exacting of them a technical compliance with the requirements of the law the citizen might be deprived of a sacred right. We are not disposed to be less indulgent in respect to the observance of forms and methods than have been the Courts to which counsel have referred; but we deem it of the highest importance to the protection of the elective franchise that the law should be complied with in substance, and that those intrusted with the discharge of the duties pertaining to elections should be required so to perform them as to preserve the ballot box pure. Others besides those who may lose their votes by the malconduct of officers of elections are concerned; and while seeking upon just principles to save to the elector his vote offered and given in good faith, we are not to forget that he himself, as well as all honest people, are vitally interested in the protection of the right of suffrage against the fraudulent machinations and devices of men whose partisan moral code bears upon its title page the infamous maxim, “ All is fair in polities.” These observations are made to show the importance of so far adhering to the -substantial requirements of the law as to protect and preserve elections from abuses subversive of the inherent and constitutional rights of the people. We are of the opinion that the election held at the Warehouse was invalid, and that the votes polled there should have been rejected and disallowed.
The elections held at McPike’s house and at the Bull Frog Quartz Mill are respectively in the same condition and predicament as that held at the Buckeye House, and must in like manner be declared invalid.
Rejecting the votes cast at the Warehouse, at the Buckeye House, at McPike’s house and at the quartz mill, S. J. Clark appears to have been elected Sheriff by a majority of two votes. Therefore the judgment appealed from declaring James H. Yeates elected.and entitled to the office of Sheriff of Plumas County must be and is hereby reversed ; and it is hereby adjudged and decreed that S. J. Clark was elected .to said . office at the general election held in 1865, and that he is therefore entitled to have, hold and exercise said office of Sheriff in and for said County of Plumas.